Work order:
It remains to retype the whole of the lines further below unchanged.
Input:
BaMg2Au2 | PBE | relaxed

Cell and atoms, written as CIF:
```
data_BaMg2Au2
_chemical_formula_sum 'Ba2 Mg4 Au4'
_space_group_name_H-M_alt 'P 4/m b m'
_space_group_IT_number 127
_space_group_name_Hall '-P 4 2ab'
_cell_length_a 8.425
_cell_length_b 8.425
_cell_length_c 3.487
_cell_angle_alpha 90.00
_cell_angle_beta 90.00
_cell_angle_gamma 90.00
loop_
_atom_site_label
_atom_site_fract_x
_atom_site_fract_y
_atom_site_fract_z
Ba1 0.000 0.000 0.000
Mg1 0.135 0.365 0.500
Au1 0.142 0.642 0.000
```

Output
* calculated density: 7781 kg/m3
* calculated volume: 24.749 A^3/atom
* E_tot: -27.22 eV/cell
* energy above the lowest structure with this stoichiometry: 22.6 kJ/mol of atoms

***

BaMg2Au | PBE | relaxed

Cell and atoms, written as CIF:
```
data_BaMg2Au
_chemical_formula_sum 'Ba2 Mg4 Au2'
_space_group_name_H-M_alt 'C 1 2/m 1'
_space_group_IT_number 12
_cell_length_a 6.351
_cell_length_b 12.357
_cell_length_c 3.809
_cell_angle_alpha 90.00
_cell_angle_beta 124.39
_cell_angle_gamma 90.00
loop_
_space_group_symop_operation_xyz
'x,y,z'
'-x,-y,-z'
'-x,y,-z'
'x,-y,z'
'x+1/2,y+1/2,z'
'-x+1/2,-y+1/2,-z'
'-x+1/2,y+1/2,-z'
'x+1/2,-y+1/2,z'
loop_
_atom_site_label
_atom_site_fract_x
_atom_site_fract_y
_atom_site_fract_z
Ba1 0.000 0.000 0.000
Mg1 0.250 0.250 0.500
Au1 0.000 0.500 0.000
```

Output
* calculated density: 5155 kg/m3
* calculated volume: 30.836 A^3/atom
* E_tot: -17.30 eV/cell

***

Ba4MgAu | PBE | relaxed

Cell and atoms, written as CIF:
```
data_Ba4MgAu
_chemical_formula_sum 'Ba16 Mg4 Au4'
_space_group_name_H-M_alt 'C 1 2/c 1'
_space_group_IT_number 15
_cell_length_a 10.438
_cell_length_b 15.126
_cell_length_c 7.448
_cell_angle_alpha 90.00
_cell_angle_beta 108.28
_cell_angle_gamma 90.00
loop_
_space_group_symop_operation_xyz
'x,y,z'
'-x,-y,-z'
'-x,y,-z+1/2'
'x,-y,z+1/2'
'x+1/2,y+1/2,z'
'-x+1/2,-y+1/2,-z'
'-x+1/2,y+1/2,-z+1/2'
'x+1/2,-y+1/2,z+1/2'
loop_
_atom_site_label
_atom_site_fract_x
_atom_site_fract_y
_atom_site_fract_z
Ba1 0.107 0.170 0.044
Ba2 0.211 0.418 0.388
Mg1 0.000 0.375 0.750
Au1 0.000 0.001 0.250
```

Output
* calculated density: 4584 kg/m3
* calculated volume: 46.523 A^3/atom
* E_tot: -55.64 eV/cell
* energy above the lowest structure with this stoichiometry: 0.1 kJ/mol of atoms

***

What did the second record say?
BaMg2Au | PBE | relaxed

Cell and atoms, written as CIF:
```
data_BaMg2Au
_chemical_formula_sum 'Ba2 Mg4 Au2'
_space_group_name_H-M_alt 'C 1 2/m 1'
_space_group_IT_number 12
_cell_length_a 6.351
_cell_length_b 12.357
_cell_length_c 3.809
_cell_angle_alpha 90.00
_cell_angle_beta 124.39
_cell_angle_gamma 90.00
loop_
_space_group_symop_operation_xyz
'x,y,z'
'-x,-y,-z'
'-x,y,-z'
'x,-y,z'
'x+1/2,y+1/2,z'
'-x+1/2,-y+1/2,-z'
'-x+1/2,y+1/2,-z'
'x+1/2,-y+1/2,z'
loop_
_atom_site_label
_atom_site_fract_x
_atom_site_fract_y
_atom_site_fract_z
Ba1 0.000 0.000 0.000
Mg1 0.250 0.250 0.500
Au1 0.000 0.500 0.000
```

Output
* calculated density: 5155 kg/m3
* calculated volume: 30.836 A^3/atom
* E_tot: -17.30 eV/cell

~~~~~

Record 1
VASP calculation (GGA-PBE) on a relaxed structure of TeAu17.

- Total energy: -115.31 eV/cell
- Crystal system: trigonal
- Volume: 909.2 Å³ per cell

CIF file:
```
data_TeAu17
_space_group_name_H-M_alt 'P -3 m 1'
_space_group_IT_number 164
_space_group_name_Hall '-P 3 2"'
_cell_length_a 5.7791
_cell_length_b 5.7791
_cell_length_c 31.4344
_cell_angle_alpha 90.00
_cell_angle_beta 90.00
_cell_angle_gamma 120.00
loop_
_atom_site_label
_atom_site_type_symbol
_atom_site_fract_x
_atom_site_fract_y
_atom_site_fract_z
Te1 Te 0.3333 0.6667 0.3355
Au1 Au 0.0000 0.0000 0.0000
Au2 Au 0.0000 0.0000 0.2338
Au3 Au 0.0000 0.5000 0.0000
Au4 Au 0.0019 0.5010 0.2334
Au5 Au 0.1667 0.3333 0.1553
Au6 Au 0.1667 0.3333 0.9224
Au7 Au 0.1671 0.3342 0.6875
Au8 Au 0.3333 0.6667 0.0774
Au9 Au 0.3333 0.6667 0.8451
```

=====

Record 2
VASP calculation (GGA-PBE) on a relaxed structure of TeAu15.

- Total energy: -102.79 eV/cell
- Crystal system: monoclinic
- Volume: 731.7 Å³ per cell

CIF file:
```
data_TeAu15
Completed:
BaMg2Au2 | PBE | relaxed

Cell and atoms, written as CIF:
```
data_BaMg2Au2
_chemical_formula_sum 'Ba2 Mg4 Au4'
_space_group_name_H-M_alt 'P 4/m b m'
_space_group_IT_number 127
_space_group_name_Hall '-P 4 2ab'
_cell_length_a 8.425
_cell_length_b 8.425
_cell_length_c 3.487
_cell_angle_alpha 90.00
_cell_angle_beta 90.00
_cell_angle_gamma 90.00
loop_
_atom_site_label
_atom_site_fract_x
_atom_site_fract_y
_atom_site_fract_z
Ba1 0.000 0.000 0.000
Mg1 0.135 0.365 0.500
Au1 0.142 0.642 0.000
```

Output
* calculated density: 7781 kg/m3
* calculated volume: 24.749 A^3/atom
* E_tot: -27.22 eV/cell
* energy above the lowest structure with this stoichiometry: 22.6 kJ/mol of atoms

***

BaMg2Au | PBE | relaxed

Cell and atoms, written as CIF:
```
data_BaMg2Au
_chemical_formula_sum 'Ba2 Mg4 Au2'
_space_group_name_H-M_alt 'C 1 2/m 1'
_space_group_IT_number 12
_cell_length_a 6.351
_cell_length_b 12.357
_cell_length_c 3.809
_cell_angle_alpha 90.00
_cell_angle_beta 124.39
_cell_angle_gamma 90.00
loop_
_space_group_symop_operation_xyz
'x,y,z'
'-x,-y,-z'
'-x,y,-z'
'x,-y,z'
'x+1/2,y+1/2,z'
'-x+1/2,-y+1/2,-z'
'-x+1/2,y+1/2,-z'
'x+1/2,-y+1/2,z'
loop_
_atom_site_label
_atom_site_fract_x
_atom_site_fract_y
_atom_site_fract_z
Ba1 0.000 0.000 0.000
Mg1 0.250 0.250 0.500
Au1 0.000 0.500 0.000
```

Output
* calculated density: 5155 kg/m3
* calculated volume: 30.836 A^3/atom
* E_tot: -17.30 eV/cell

***

Ba4MgAu | PBE | relaxed

Cell and atoms, written as CIF:
```
data_Ba4MgAu
_chemical_formula_sum 'Ba16 Mg4 Au4'
_space_group_name_H-M_alt 'C 1 2/c 1'
_space_group_IT_number 15
_cell_length_a 10.438
_cell_length_b 15.126
_cell_length_c 7.448
_cell_angle_alpha 90.00
_cell_angle_beta 108.28
_cell_angle_gamma 90.00
loop_
_space_group_symop_operation_xyz
'x,y,z'
'-x,-y,-z'
'-x,y,-z+1/2'
'x,-y,z+1/2'
'x+1/2,y+1/2,z'
'-x+1/2,-y+1/2,-z'
'-x+1/2,y+1/2,-z+1/2'
'x+1/2,-y+1/2,z+1/2'
loop_
_atom_site_label
_atom_site_fract_x
_atom_site_fract_y
_atom_site_fract_z
Ba1 0.107 0.170 0.044
Ba2 0.211 0.418 0.388
Mg1 0.000 0.375 0.750
Au1 0.000 0.001 0.250
```

Output
* calculated density: 4584 kg/m3
* calculated volume: 46.523 A^3/atom
* E_tot: -55.64 eV/cell
* energy above the lowest structure with this stoichiometry: 0.1 kJ/mol of atoms

***

What did the second record say?
BaMg2Au | PBE | relaxed

Cell and atoms, written as CIF:
```
data_BaMg2Au
_chemical_formula_sum 'Ba2 Mg4 Au2'
_space_group_name_H-M_alt 'C 1 2/m 1'
_space_group_IT_number 12
_cell_length_a 6.351
_cell_length_b 12.357
_cell_length_c 3.809
_cell_angle_alpha 90.00
_cell_angle_beta 124.39
_cell_angle_gamma 90.00
loop_
_space_group_symop_operation_xyz
'x,y,z'
'-x,-y,-z'
'-x,y,-z'
'x,-y,z'
'x+1/2,y+1/2,z'
'-x+1/2,-y+1/2,-z'
'-x+1/2,y+1/2,-z'
'x+1/2,-y+1/2,z'
loop_
_atom_site_label
_atom_site_fract_x
_atom_site_fract_y
_atom_site_fract_z
Ba1 0.000 0.000 0.000
Mg1 0.250 0.250 0.500
Au1 0.000 0.500 0.000
```

Output
* calculated density: 5155 kg/m3
* calculated volume: 30.836 A^3/atom
* E_tot: -17.30 eV/cell

~~~~~

Record 1
VASP calculation (GGA-PBE) on a relaxed structure of TeAu17.

- Total energy: -115.31 eV/cell
- Crystal system: trigonal
- Volume: 909.2 Å³ per cell

CIF file:
```
data_TeAu17
_space_group_name_H-M_alt 'P -3 m 1'
_space_group_IT_number 164
_space_group_name_Hall '-P 3 2"'
_cell_length_a 5.7791
_cell_length_b 5.7791
_cell_length_c 31.4344
_cell_angle_alpha 90.00
_cell_angle_beta 90.00
_cell_angle_gamma 120.00
loop_
_atom_site_label
_atom_site_type_symbol
_atom_site_fract_x
_atom_site_fract_y
_atom_site_fract_z
Te1 Te 0.3333 0.6667 0.3355
Au1 Au 0.0000 0.0000 0.0000
Au2 Au 0.0000 0.0000 0.2338
Au3 Au 0.0000 0.5000 0.0000
Au4 Au 0.0019 0.5010 0.2334
Au5 Au 0.1667 0.3333 0.1553
Au6 Au 0.1667 0.3333 0.9224
Au7 Au 0.1671 0.3342 0.6875
Au8 Au 0.3333 0.6667 0.0774
Au9 Au 0.3333 0.6667 0.8451
```

=====

Record 2
VASP calculation (GGA-PBE) on a relaxed structure of TeAu15.

- Total energy: -102.79 eV/cell
- Crystal system: monoclinic
- Volume: 731.7 Å³ per cell

CIF file:
```
data_TeAu15